The IIMS publishes a regular monthly electronic News Bulletin that carries up to date information about Head Office activities and initiatives as well as news, details about forthcoming and recent events and current affairs from around the international IIMS family.

All monthly News Bulletins can be viewed in either pdf or eReader formats.

New Bulletin September 2024

View the September news bulletin in full: IIMS News Bulletin September 2024 (pdf format) or click to read it in eReader format.

‘Lite’ categorised podcast versions are also available to listen to. Yacht & Small Craft Surveyors (run time 21 minutes) and Commercial Ship Surveyors (run time 221 minutes).

Well, it has been a momentous few weeks in the life of IIMS and I am keen to bring you up to speed and share our latest news, about which the team and I are very proud. Over the past 2 years, IIMS has been working steadily behind the scenes towards achieving ISO 9001 certification. It has been a lengthy and at times exhausting process; but finally, following our recent external audit carried out by DNV, I am delighted to inform you we have done it!

Last year I met the Bangladeshi Director General of the Department of Shipping on my trip to Chattogram. We spoke about delivering the IIMS Professional Qualification in Commercial Ship Marine Surveying locally and he was supportive. Imagine my delight to hear from Capt Zillur Bhuiyan FIIMS  when he confirmed we have our first 9 students enrolled in the programme.

News Bulletin August 2024

View the August news bulletin in full: IIMS News Bulletin August 2024 (pdf format) or click to read it in eReader format.

‘Lite’ categorised podcast versions are also available to listen to. Yacht & Small Craft Surveyors (run time 22 minutes) and Commercial Ship Surveyors (run time 21 minutes).

This month I would like to start my column by talking about change. It probably won’t have escaped your notice that the UK has a new government. A new government is undoubtedly bursting with energy and new ideas, but what does it mean for the UK maritime landscape (or should that be seascape)? There was no mention of the maritime sector in the various manifestos pre-election. Time will tell.

Something else I am keen to tell you about is the eCMID Accredited Vessel Inspector Accreditation Scheme run on behalf of IMCA by IIMS subsidiary, the Marine Surveying Academy. The scheme was launched in 2015 and a couple of weeks ago it was brought to my attention that we had received our 1,000th application for accreditation.

News Bulletin July 2024

View the July news bulletin in full: IIMS News Bulletin July 2024 (pdf format) or click to read it in eReader format.

‘Lite’ categorised podcast versions are also available to listen to. Yacht & Small Craft Surveyors (run time 19 minutes) and Commercial Ship Surveyors (run time 23 minutes).

At last month’s AGM, IIMS awarded Fellowship status to Rory Marshall and an Honorary Fellowship to Zennon Cheng. You can read in more detail why the Institute has chosen to recognise these two exceptional individuals for their contributions in entirely different areas of the marine surveying profession.

The AGM also saw a changing of the guard as Peter Broad stepped down following his two-year stint as President to be replaced by Capt Ruchin Dayal. David Pestridge was also elected as the new Deputy Vice President.

News Bulletin June 2024

View the June news bulletin in full: IIMS News Bulletin June 2024 (pdf format) or click to read it in eReader format.

‘Lite’ categorised podcast versions are also available to listen to. Yacht & Small Craft Surveyors (run time 24 minutes). Commercial Ship Surveyors (run time 26 minutes).

Whilst compiling this month’s news bulletin, I am reminded of the growing presence of AI (Artificial Intelligence) in our midst. Its progress is accelerating ever faster I sense. It is now starting to have a significant impact on our daily private lives as well as in our business environment. There are several articles featured in this month’s news bulletin that expose the onslaught of AI technology as we advance ever further into this brave new world.

I would like to remind you that the 2024 AGM takes place on Tuesday 4th June. I would encourage you to join the AGM, or to view the video after the event. The following day, the IIMS one day Conference takes place at the Axis Conference Centre near Southampton.

• Between two parts of the text: materials data:
+++
(1)
# BaLu2NiO5 | the Materials Project | PBE+U | relaxed
data_BaLu2NiO5
_chemical_formula_sum 'Ba4 Lu8 Ni4 O20'
_symmetry_space_group_name_H-M 'P 1'
_symmetry_Int_Tables_number 1
_cell_length_a 12.171
_cell_length_b 5.653
_cell_length_c 6.971
_cell_angle_alpha 90.00
_cell_angle_beta 90.00
_cell_angle_gamma 90.00
loop_
_symmetry_equiv_pos_as_xyz
'x,y,z'
loop_
_atom_site_label
_atom_site_type_symbol
_atom_site_fract_x
_atom_site_fract_y
_atom_site_fract_z
_atom_site_occupancy
Ba1 Ba 0.097 0.250 0.078 1
Ba2 Ba 0.403 0.750 0.578 1
Ba3 Ba 0.597 0.250 0.422 1
Ba4 Ba 0.903 0.750 0.922 1
Lu1 Lu 0.074 0.750 0.400 1
Lu2 Lu 0.208 0.250 0.623 1
Lu3 Lu 0.292 0.750 0.123 1
Lu4 Lu 0.426 0.250 0.900 1
Lu5 Lu 0.574 0.750 0.100 1
Lu6 Lu 0.708 0.250 0.877 1
Lu7 Lu 0.792 0.750 0.377 1
Lu8 Lu 0.926 0.250 0.600 1
Ni1 Ni 0.156 0.750 0.805 1
Ni2 Ni 0.344 0.250 0.305 1
Ni3 Ni 0.656 0.750 0.695 1
Ni4 Ni 0.844 0.250 0.195 1
O1 O 0.065 0.501 0.666 1
O2 O 0.065 0.999 0.666 1
O3 O 0.105 0.750 0.079 1
O4 O 0.225 0.501 0.366 1
O5 O 0.225 0.999 0.366 1
O6 O 0.275 0.001 0.866 1
O7 O 0.275 0.499 0.866 1
O8 O 0.395 0.250 0.579 1
O9 O 0.435 0.001 0.166 1
O10 O 0.435 0.499 0.166 1
O11 O 0.565 0.501 0.834 1
O12 O 0.565 0.999 0.834 1
O13 O 0.605 0.750 0.421 1
O14 O 0.725 0.501 0.134 1
O15 O 0.725 0.999 0.134 1
O16 O 0.775 0.001 0.634 1
O17 O 0.775 0.499 0.634 1
O18 O 0.895 0.250 0.921 1
O19 O 0.935 0.001 0.334 1
O20 O 0.935 0.499 0.334 1
# Total energy, eV/atom: -6.98
# Formation energy, eV/atom: -3.032
# Crystal system: orthorhombic
# SG: Pnma (62)
# ρ, Mg/m³: 8.7



(2)
# Li2Mn3SbO8 | the Materials Project | PBE+U | relaxed
data_Li2Mn3SbO8
_chemical_formula_sum 'Li8 Mn12 Sb4 O32'
_symmetry_space_group_name_H-M 'P 1'
_symmetry_Int_Tables_number 1
_cell_length_a 8.646
_cell_length_b 8.646
_cell_length_c 8.646
_cell_angle_alpha 90.00
_cell_angle_beta 90.00
_cell_angle_gamma 90.00
loop_
_symmetry_equiv_pos_as_xyz
'x,y,z'
loop_
_atom_site_label
_atom_site_type_symbol
_atom_site_fract_x
_atom_site_fract_y
_atom_site_fract_z
_atom_site_occupancy
Li1 Li 0.007 0.007 0.007 1
Li2 Li 0.243 0.243 0.243 1
Li3 Li 0.257 0.757 0.743 1
Li4 Li 0.493 0.993 0.507 1
Li5 Li 0.507 0.493 0.993 1
Li6 Li 0.743 0.257 0.757 1
Li7 Li 0.757 0.743 0.257 1
Li8 Li 0.993 0.507 0.493 1
Mn1 Mn 0.124 0.126 0.625 1
Mn2 Mn 0.125 0.376 0.874 1
Mn3 Mn 0.126 0.625 0.124 1
Mn4 Mn 0.374 0.375 0.624 1
Mn5 Mn 0.375 0.624 0.374 1
Mn6 Mn 0.376 0.874 0.125 1
Mn7 Mn 0.624 0.374 0.375 1
Mn8 Mn 0.625 0.124 0.126 1
Mn9 Mn 0.626 0.875 0.876 1
Mn10 Mn 0.874 0.125 0.376 1
Mn11 Mn 0.875 0.876 0.626 1
Mn12 Mn 0.876 0.626 0.875 1
Sb1 Sb 0.125 0.875 0.375 1
Sb2 Sb 0.375 0.125 0.875 1
Sb3 Sb 0.625 0.625 0.625 1
Sb4 Sb 0.875 0.375 0.125 1
O1 O 0.106 0.109 0.375 1
O2 O 0.108 0.608 0.892 1
O3 O 0.109 0.375 0.106 1
O4 O 0.125 0.641 0.356 1
O5 O 0.125 0.894 0.609 1
O6 O 0.141 0.144 0.875 1
O7 O 0.142 0.358 0.642 1
O8 O 0.144 0.875 0.141 1
O9 O 0.356 0.125 0.641 1
O10 O 0.358 0.642 0.142 1
O11 O 0.359 0.856 0.375 1
O12 O 0.375 0.106 0.109 1
+++
• So much for the materials data:

News Bulletin May 2024

View the May news bulletin in full: IIMS News Bulletin May 2024 (pdf format) or click to read it in eReader format.

‘Lite’ podcast versions are also available to listen to. Yacht & Small Craft Surveyors (run time 17 minutes). Commercial Ship Surveyors (run time 19 minutes).

I knew it was too good to be true. The start of this year had heralded what seemed to be a sharp drop in the number of major maritime incidents and accidents reaching my desk. And then in late March along comes the collapse of the busy Francis Scott Key Bridge in Baltimore wrecked in an instant having been struck by a ship. I offer my personal condolences to those who have lost loved ones in this catastrophe. At the time of writing, the exact cause is not known and it will be the aim of the formal, painstaking investigation to reveal the actual facts in time. But we now learn that the insurance payouts after this momentous event may turn out to be the largest in history, according to Lloyd’s of London chief executive John Neal. Speaking to Bloomberg News, he said, “This has the potential to be one of the largest marine losses in history.”

News Bulletin April 2024

View the April news bulletin in full: IIMS News Bulletin April 2024 (pdf format) or click to read it in eReader format.

Listen to ‘lite’ podcast versions of the bulletin. Yacht & Small Craft Surveyors (run time 23 minutes). Commercial Ship Surveyors (run time 21 minutes).

In this new-fangled world we inhabit when old-fashioned thinking and ways of working are being scrapped and discarded in haste, new technologies seem to pose challenges and risks for us on an almost weekly basis. To counter this, I would argue that sometimes it is necessary to pause, draw breath, assess and, if required, rethink things rather than blunder on regardless. Rarely it seems do we do that. We plough on until something goes BANG. Only then do we stop and reassess. A colleague in a recent meeting was overheard to call the maritime world a ‘screwed up industry’. With all this in mind perhaps he has a point.

April sees me on the road again. I am looking forward to meeting surveyors in Baltimore, US on 12/13 April and a few days later at the Western Mediterranean Yacht & Small Craft training event in Palma, Mallorca on 25/26.

Unrelated to this piece: records of crystals.
/*
Record 1
VASP calculation (meta-GGA r2SCAN) on crystalline NiHg4 at its relaxed geometry.

POSCAR file:
```
NiHg4
1.0
4.9759 0.0000 -1.7593
-2.4880 4.3093 -1.7593
0.0000 0.0000 5.2778
Hg Ni
4 1
Direct
0.5000 0.5000 0.5000
0.5000 0.0000 0.0000
0.0000 0.0000 0.5000
0.0000 0.5000 0.0000
0.0000 0.0000 0.0000
```

Values from the calculation:
- Energy relative to the elements: 0.017 eV per atom
- SG: No. 229
- E_tot: -41.87 eV/atom
- Magnetic moment: 0.0 μB per formula unit



Record 2
VASP calculation (meta-GGA r2SCAN) on crystalline Hg3PO4 at its relaxed geometry.

POSCAR file:
```
Hg3PO4
1.0
-1.2811 -5.7370 5.7091
5.4503 -4.6604 -3.4601
9.5461 0.7251 2.8708
O Hg P
16 12 4
Direct
0.6837 0.2665 0.6412
0.9705 0.5144 0.8338
0.8163 0.2665 0.1412
0.0295 0.4856 0.1662
0.5568 0.8732 0.1788
0.1672 0.7023 0.6202
0.6672 0.2977 0.8798
0.9432 0.8732 0.6788
0.5295 0.5144 0.3338
0.4705 0.4856 0.6662
0.8328 0.2977 0.3798
0.3328 0.7023 0.1202
0.4432 0.1268 0.8212
0.1837 0.7335 0.8588
0.3163 0.7335 0.3588
0.0568 0.1268 0.3212
0.7771 0.5611 0.4309
0.8938 0.1326 0.9680
0.9487 0.8515 0.3861
0.1062 0.8674 0.0320
0.4487 0.1485 0.1139
0.5513 0.8515 0.8861
0.0513 0.1485 0.6139
0.2771 0.4389 0.0691
0.6062 0.1326 0.4680
0.7229 0.5611 0.9309
0.3938 0.8674 0.5320
0.2229 0.4389 0.5691
0.0655 0.7023 0.7528
0.5655 0.2977 0.7472
0.4345 0.7023 0.2528
0.9345 0.2977 0.2472
```

Values from the calculation:
- Energy relative to the elements: -1.298 eV per atom
- SG: No. 14
- Excess energy over the best structure of this formula in the dataset: 0.0 meV per atom
- E_tot: -23.92 eV/atom
- Magnetic moment: 0.0 μB per formula unit



Record 3
VASP calculation (meta-GGA r2SCAN) on crystalline Hg3P2O8 at its relaxed geometry.

POSCAR file:
```
Hg3P2O8
1.0
11.5379 0.0000 0.0000
0.0000 6.4473 0.0145
0.0000 1.6623 9.6686
O P Hg
32 8 12
Direct
0.4393 0.6975 0.9162
0.9793 0.7543 0.4491
0.9054 0.9868 0.7205
0.0946 0.0132 0.2795
0.3104 0.3187 0.5019
0.4399 0.1003 0.8609
0.4054 0.5132 0.2795
0.7803 0.6289 0.2198
0.7197 0.1289 0.2198
0.4793 0.7457 0.5509
0.2197 0.3711 0.7802
0.9399 0.3997 0.1391
0.1896 0.8187 0.5019
0.0207 0.2457 0.5509
0.8104 0.1813 0.4981
0.1420 0.6450 0.2975
0.7034 0.0828 0.9700
0.2034 0.4172 0.0300
0.5207 0.2543 0.4491
0.6896 0.6813 0.4981
0.8580 0.3550 0.7025
0.2803 0.8711 0.7802
0.6420 0.8550 0.7025
0.5601 0.8997 0.1391
0.0607 0.1975 0.9162
0.5946 0.4868 0.7205
0.0601 0.6003 0.8609
0.5607 0.3025 0.0838
0.3580 0.1450 0.2975
0.2966 0.9172 0.0300
0.7966 0.5828 0.9700
0.9393 0.8025 0.0838
0.3669 0.9035 0.8958
0.6020 0.6924 0.6120
0.1331 0.4035 0.8958
0.6331 0.0965 0.1042
0.8669 0.5965 0.1042
0.8980 0.1924 0.6120
0.3980 0.3076 0.3880
0.1020 0.8076 0.3880
0.8922 0.6730 0.6992
0.8797 0.1755 0.9609
0.3344 0.5817 0.6558
0.3797 0.3245 0.0391
0.1656 0.0817 0.6558
0.6203 0.6755 0.9609
0.6656 0.4183 0.3442
0.1078 0.3270 0.3008
0.3922 0.8270 0.3008
0.1203 0.8245 0.0391
0.6078 0.1730 0.6992
0.8344 0.9183 0.3442
```

Values from the calculation:
*/

News Bulletin March 2024

View the March news bulletin in full: IIMS News Bulletin March 2024 (pdf format) or click to read it in eReader format.

Listen to ‘lite’ podcast versions of the bulletin. Yacht & Small Craft Surveyors (run time 27 minutes). Commercial Ship Surveyors (run time 33 minutes).

Last year I wrote a couple of exploratory articles and gave a few presentations on the subject of AI technology and how it is inevitably already impacting on the marine surveying profession as well as in all our private lives too. I was genuinely surprised at the reaction from some – a sense of incredulity and disbelief from many, a feeling of vulnerability from others caused by the fear of the unknown – and from others a grudging acceptance that it is here to stay, and we need to grow and learn with it, as it continues its inexorable rise. I researched for the latest thinking about how AI technology is impacting the shipping and boating sectors.

I am delighted to inform you that the Report Magazine March 2024 edition 107 has been published.

News Bulletin February 2024

View the February news bulletin in full: IIMS News Bulletin February 2024 (pdf format) or click to read it in eReader format.

And now for the first time, the bulletin is available to listen to in podcast format for the yacht and small craft industry (run time 27 minutes) and the commercial shipping industry (run time 50 minutes).

I was delighted at the feedback received, not just from IIMS members, but from the maritime world far and wide, following the publication of the 172 page Safety & Loss Prevention Briefings Compendium 2023. If you missed notification of its launch last month, the Compendium can still be downloaded for free.

Also, on the subject of engaging feedback, the response to President, Peter Broad’s article last month on tick box surveys, has certainly hit a nerve. Not much in the marine surveying world goes ‘viral’, but LinkedIn lit up when it was published, and the comments made are worth reviewing. Click here to read the article.

News Bulletin January 2024

View the January news bulletin in full: IIMS News Bulletin January 2024 (pdf format) or click to read it in eReader format.

Welcome to 2024 and may the new year bring you success, happiness and good fortune. Last month I was invited to address the annual NAMS Global regional conference in the US online. There followed an invitation to attend a meeting of the UK All-Party Parliamentary Maritime and Ports Group at the Palace of Westminster, home of the UK government. The next week, in conjunction with the IIMS Canada Branch, we shared an opportunity as the headline sponsor for the Canadian Bar Association’s (marine lawyers) online seminar entitled “Topical Issues and Recent Decisions in Maritime Law and Practice”.

I would like to remind members that IIMS has now moved to digital membership cards with immediate effect to further reduce the Institute’s carbon footprint. However, I appreciate some members will still need a hard membership card for identity purposes. Cards are still available at no extra cost. Hope to see some of you at the various seminars and other events during 2024.

News Bulletin December 2023

View the December news bulletin in full: IIMS News Bulletin December 2023 (pdf format) or click to read it in eReader format.

=====
The following is a GGA+U calculation of a geometry-optimized Li9Mn2Co5O16 structure, from the Materials Project database.

abc: 5.0485 5.0974 11.2010
angles: 81.01 86.35 81.27
Space group P1 (No. 1)
Asymmetric unit:
Li: 0.0000 0.0000 0.0000 (multiplicity 1)
Li: 0.0011 0.5000 0.4907 (multiplicity 1)
Li: 0.0109 0.2474 0.7381 (multiplicity 1)
Li: 0.4796 0.1291 0.8663 (multiplicity 1)
Li: 0.4870 0.3757 0.6152 (multiplicity 1)
Li: 0.4959 0.6172 0.3669 (multiplicity 1)
Li: 0.4994 0.8781 0.1297 (multiplicity 1)
Li: 0.7459 0.3081 0.1865 (multiplicity 1)
Li: 0.9882 0.7492 0.2497 (multiplicity 1)
Mn: 0.2449 0.4364 0.0602 (multiplicity 1)
Mn: 0.7434 0.5619 0.9318 (multiplicity 1)
Co: 0.2410 0.9377 0.5533 (multiplicity 1)
Co: 0.2442 0.6856 0.8067 (multiplicity 1)
Co: 0.2493 0.1875 0.3080 (multiplicity 1)
Co: 0.7448 0.0644 0.4322 (multiplicity 1)
Co: 0.7481 0.8122 0.6810 (multiplicity 1)
O: 0.1041 0.3716 0.9037 (multiplicity 1)
O: 0.1260 0.6038 0.6610 (multiplicity 1)
O: 0.1334 0.8459 0.4066 (multiplicity 1)
O: 0.1402 0.1194 0.1429 (multiplicity 1)
O: 0.3511 0.5264 0.2029 (multiplicity 1)
O: 0.3575 0.0011 0.7165 (multiplicity 1)
O: 0.3642 0.2736 0.4650 (multiplicity 1)
O: 0.3850 0.7542 0.9578 (multiplicity 1)
O: 0.6000 0.2561 0.0178 (multiplicity 1)
O: 0.6043 0.4974 0.7810 (multiplicity 1)
O: 0.6081 0.9808 0.2865 (multiplicity 1)
O: 0.6284 0.7489 0.5318 (multiplicity 1)
O: 0.8639 0.1328 0.5888 (multiplicity 1)
O: 0.8805 0.8720 0.8330 (multiplicity 1)
O: 0.8825 0.3665 0.3433 (multiplicity 1)
O: 0.8890 0.6435 0.0736 (multiplicity 1)

Output
- Formation enthalpy at 0 K: -5728 kJ/mol of formula units
- Final energy: -5.85 eV per atom
- MP2020-corrected energy: -6.55 eV/atom

~~~~~

## A
Na3CaAl3Si3SO16 after structural relaxation. Source: the Materials Project database, functional PBE.

Properties
M_tot	0.00	μB per formula unit

```
data_Na3CaAl3Si3SO16
_chemical_formula_sum 'Na6 Ca2 Al6 Si6 S2 O32'
_cell_length_a 7.829
_cell_length_b 7.854
_cell_length_c 12.816
_cell_angle_alpha 89.88
_cell_angle_beta 89.89
_cell_angle_gamma 70.49
_space_group_name_H-M_alt 'P 1'
_space_group_IT_number 1
loop_
_space_group_symop_operation_xyz
'x,y,z'
loop_
_atom_site_label
_atom_site_type_symbol
_atom_site_fract_x
_atom_site_fract_y
_atom_site_fract_z
_atom_site_occupancy
Na1 Na 0.000 0.000 0.000 1
Na2 Na 0.013 0.993 0.648 1
Na3 Na 0.447 0.183 0.828 1
Na4 Na 0.522 0.486 0.121 1
Na5 Na 0.821 0.563 0.828 1
Na6 Na 0.919 0.692 0.325 1
Ca1 Ca 0.314 0.048 0.327 1
Ca2 Ca 0.497 0.517 0.526 1
Al1 Al 0.193 0.557 0.701 1
Al2 Al 0.316 0.185 0.075 1
Al3 Al 0.446 0.816 0.701 1
Al4 Al 0.689 0.067 0.457 1
Al5 Al 0.821 0.687 0.077 1
Al6 Al 0.935 0.318 0.456 1
Si1 Si 0.198 0.560 0.950 1
Si2 Si 0.311 0.182 0.576 1
Si3 Si 0.446 0.809 0.950 1
Si4 Si 0.695 0.060 0.205 1
Si5 Si 0.825 0.693 0.577 1
Si6 Si 0.942 0.307 0.204 1
S1 S 0.327 0.688 0.330 1
S2 S 0.808 0.198 0.822 1
O1 O 0.016 0.271 0.325 1
O2 O 0.112 0.184 0.133 1
O3 O 0.116 0.182 0.531 1
O4 O 0.229 0.486 0.831 1
O5 O 0.230 0.794 0.424 1
=====

This past month has seen a number of successful training initiatives taking place. Interesting to see is the number of non IIMS members who have attended training this year. I make no apologies for training non-members and see it as a responsibility the Institute has to train anyone who wants to learn in an attempt to drive standards higher.

I am pleased to inform you that the December 2023 Report Magazine is published and available to read from today. The publication has had a makeover. The front cover looks more appealing and very modern. The inside pages too look a bit different. Edition 106 is another fine collection of features and articles to whet your appetite.

If you are a member and are expecting your annual plastic membership card to drop through your letterbox this year, it won’t unless you message the Institute to request one. As time and technology has moved on and, in an effort to reduce its carbon footprint, IIMS has announced a move to digital cards with immediate effect.

News Bulletin November 2023

View the November news bulletin in full: IIMS News Bulletin November 2023 (pdf format) or click to read it in eReader format.

As I sat down to think about the content of my introduction to this month’s News Bulletin, my eye was drawn to a press release from Sunseeker, a UK international brand requiring little introduction which is synonymous with the large yacht sector. The press release reminded me that it is prime marine exhibition and show time, before the harsher northern hemisphere winter climate sets in.

I have just returned from the KORMARINE exhibition in South Korea. IIMS shared a stand with President Peter Broad’s company, Broadreach Marine Ltd. I am grateful to him for keeping me out of trouble during my trip! The exhibition itself was busy – perhaps 20,000 plus visitors. It was certainly a unique opportunity to promote ‘brand IIMS’ to a new audience. We exhibited as part of the Great Britain & Ireland pavilion. Photos and a short report of the event can be found in this bulletin with a longer version being published in next month’s Report Magazine. Whilst in Busan, Peter and I had the chance to participate in a UK Department of Trade networking event on the first night.

News Bulletin October 2023

View the October news bulletin in full: IIMS News Bulletin October 2023 (pdf format) or click to read it in eReader format.

Our first online Australian seminar was scheduled for mid-September and more than 80 people registered for the event. My thanks to those who helped to organise the event and also to those who spoke, including a welcome and introduction from IIMS President, Peter Broad.

The big event of the month for me personally came when I accepted an invitation to attend the 30th anniversary conference of the Marine Surveyors Association of Bangladesh (MSAB) as Guest of Honour, which was held at Hotel Agrabad, Chittagong. The event attracted an audience of well over one hundred delegates and it was certainly an adventure and an experience. Importantly, I also had the opportunity to chat openly at a private meeting with Commodore Maksud Alam, Bangladesh Director General of Shipping. I am most grateful to the MSAB President and Committee, my hosts, for making me feel so welcome and for looking after me during my short visit.

Instagram Posts from the IIMS @iimsmarine